Sunday, January 25, 2015

The Syriza hits the fan

Fox News: "Greece's anti-bailout Syriza party wins election."

Well, they promised freedom from austerity and now they're going to get it, good and hard:
Alex Tsipras, the young, charismatic leader of Syriza, is an avowed leftist (his son, Ernesto, is reportedly named for Marxist revolutionary Ernesto “Che” Guevera) and the party’s most likely candidate for prime minister. Tsipras has made it clear that any new government under Syriza—an acronym from the Greek words meaning “coalition of the radical left”—will “renegotiate” the loans extended to Greece by the EU, the IMF and the ECB since 2010 in order to preserve the euro. Those loans—now totaling some 175% of Greece’s GDP—were conditioned on austerity measures that Tsipras has declared intolerable.

While the Greek economy is growing moderately, and Greece is likely able to continue its debt service under existing austerity measures, a Syriza-dominated populist government would likely bring about an economic crisis worse than the one Greece and the Eurozone saw in 2010.
As this Atlantic article notes, the options for the Eurozone "troika" are to write down Greece's debt - and give other PIIGS a blueprint for forgiveness - or kick Greece out of the Eurozone.  It's gonna be interesting.

Extra - Or can Tsipras pull of the "Lula pivot"?

More - Daily Mail: "EU braces for catastrophe."


  1. Anonymous9:26 AM

    Quitters. Dopes. Don't they know austerity is ALWAYS the way to go? Looking back, it's worked wonders in... uh... and then there was that time in the recessionary economy of... of...

  2. Anonymous10:30 AM

    Europe must be on the verge of a popcorn shortage as people gather to watch this unfold.

    Until now, if you had held to the principle that European leaders would always kick the can down the road, you would have called most of the key events correctly. Of course, you eventually run out of road at some point, but where? Perhaps here, perhaps not. Time will tell.

    I think it's also a pretty safe bet that self-proclaimed radical leftists have never, in the entire history of the world, left an economy in better shape than how they found it. Even if the other European leaders offer a generous deal I suspect this will end badly, and soon.

_Unrelated to this entry: quantum chemistry results_
=====
# C34H45N3OPdS3Te

C34H45N3OPdS3Te as an isolated structure (ωB97M-V with the def2-TZVPD basis set, OMol25).

Summary:
E_HOMO (alpha / beta) in eV: -4.18 / -4.72
Total energy in hartree: -3152.6315
Kohn-Sham gap (alpha / beta) in eV: 6.535 / 6.262
ΔE to the lowest compared entry with this formula, charge and spin in kJ/mol: 6.1
Net charge: -1
Spin multiplicity: 2
Maximum force in eV Å⁻¹: 0.8

The geometry in XYZ format:
```
88
Properties=species:S:1:pos:R:3:forces:R:3:mulliken_spin:R:1
Pd 1.165 -0.620 1.224 -0.6 -0.1 0.5 0.059
C -1.805 2.906 1.576 0.0 0.0 0.0 -0.004
C -0.582 2.032 1.467 0.0 0.0 -0.1 0.165
S -0.839 0.418 1.022 -0.1 -0.1 0.0 0.267
C 0.698 2.518 1.705 0.0 0.0 0.0 0.089
C 0.938 3.945 2.128 0.0 0.0 0.0 -0.001
S 2.055 1.536 1.523 0.3 0.0 -0.1 0.366
H -2.689 2.353 1.260 0.0 0.0 0.0 0.004
H -1.719 3.799 0.953 0.0 0.0 0.0 0.005
H -1.965 3.235 2.606 0.0 0.0 0.0 0.009
H 0.024 4.537 2.141 0.0 0.0 0.0 -0.001
H 1.651 4.424 1.455 0.0 0.0 0.0 0.004
H 1.374 3.971 3.128 0.0 0.0 0.0 0.007
C -1.145 -1.280 -2.134 -0.1 0.0 0.0 0.006
N 0.112 -0.692 -2.583 0.0 0.1 0.0 0.003
C 0.003 0.720 -2.894 0.0 0.0 0.0 0.006
C 1.313 -1.192 -2.158 -0.1 0.0 0.0 -0.002
S 2.606 -0.200 -1.788 0.1 0.0 -0.1 0.007
N 1.376 -2.548 -2.063 0.0 0.0 0.0 0.001
C 2.501 -3.184 -1.400 0.0 0.0 0.0 0.000
C 0.657 -3.409 -2.984 0.0 0.0 0.0 0.001
H -1.682 -0.547 -1.526 0.0 0.0 0.0 0.003
H -0.965 -2.150 -1.510 0.0 0.0 0.0 0.000
H -1.780 -1.568 -2.977 0.0 0.0 0.0 0.001
H -0.911 0.868 -3.473 0.0 0.0 0.0 -0.001
H 0.862 1.046 -3.474 0.0 0.0 0.0 -0.001
H -0.046 1.326 -1.982 0.0 0.0 0.0 0.000
H 2.758 -2.646 -0.490 0.0 0.0 0.0 -0.001
H 3.378 -3.217 -2.056 0.0 0.0 0.0 0.000
H 2.203 -4.203 -1.142 0.0 0.0 0.0 0.000
H 0.114 -2.816 -3.714 0.0 0.0 0.0 0.000
H -0.051 -4.060 -2.465 0.0 0.0 0.0 0.000
H 1.378 -4.037 -3.518 0.0 0.0 0.0 0.000
C -4.015 -4.368 -3.740 0.0 0.0 0.0 -0.001
C -3.574 -3.992 -2.351 0.0 0.0 0.0 0.001
C -2.593 -4.713 -1.686 -0.1 0.0 0.0 0.001
C -2.193 -4.392 -0.391 0.0 0.0 0.0 0.001
C -1.110 -5.204 0.258 0.0 0.0 0.0 0.000
C -2.803 -3.312 0.263 0.1 0.0 0.0 0.000
Te -2.358 -2.912 2.299 0.0 0.0 0.1 0.008
N 0.435 -2.480 1.615 0.1 0.1 -0.4 -0.025
C 1.625 -2.858 1.914 0.3 0.0 0.0 0.017
O 2.639 -2.036 1.674 -0.1 0.0 0.1 0.004
C 1.973 -4.179 2.529 0.0 0.0 0.0 0.003
C 3.307 -4.565 2.611 0.0 0.0 0.0 0.002
C 3.650 -5.791 3.163 0.0 0.0 0.0 -0.001
C 2.663 -6.640 3.644 0.0 0.0 0.0 0.002
C 1.330 -6.254 3.574 0.0 0.0 0.0 -0.001
C 0.987 -5.030 3.020 0.0 0.0 0.0 0.001
C -4.424 -3.076 2.881 0.0 0.0 0.0 -0.001
C -5.214 -4.192 2.577 0.0 0.0 0.0 0.002
C -4.681 -5.375 1.815 0.0 0.0 0.0 0.000
C -6.547 -4.222 2.988 0.0 0.0 0.0 0.000
C -7.117 -3.184 3.705 0.0 0.0 0.0 0.001
C -8.559 -3.230 4.137 0.0 0.0 0.0 0.000
C -6.316 -2.093 4.020 0.0 0.0 0.0 0.000
C -4.987 -2.021 3.621 0.0 0.0 0.0 -0.001
C -4.190 -0.797 3.995 0.0 0.0 0.0 -0.006
C -3.755 -2.534 -0.413 0.0 0.0 0.0 -0.002
C -4.375 -1.300 0.184 0.0 0.0 0.0 -0.004
C -4.129 -2.899 -1.703 0.0 0.0 0.0 0.001
H -3.335 -5.096 -4.185 0.0 0.0 0.0 0.000
=====
_The quantum chemistry results stop here_

  3. siacd99911:32 AM

    Renegotiating a loan is radical? Radical would be sending the EU and the IMF a diplomatic middle finger, leaving the EU, sealing the borders, re-issuing drachmas, and screaming "Molon Labe!" when the blue helmets try to come collect on debts owed.

  4. Syriziously11:38 AM

    The thing is, austerity was never tried by Greece. Oh, they made austerity pledges to get successive rounds of bailouts, but never came close to meeting the spending reduction targets they had agreed to. The current call to "end austerity" is just another way of saying "we don't want to pay back those loans."

  5. Anonymous12:41 PM

    Basically, the Greeks ran out of other people's money. "Austerity" means 'living within your means'.

    I wonder if the Greeks have any clue that defaulting on their debts means that no one will lend them any money again.

  6. Anonymous3:31 PM

What comes next are molecular data, not part of the entry >
........
1 | Molecular formula: C16H23N3O2
Method: DFT, the ωB97M-V functional and the def2-TZVPD basis

As for the SMILES: COc1ccc(NCC(=O)N/N=C2\CCC[C@@H](C)C2)cc1. The HOMO-LUMO gap comes out at 8.5 eV. Its charge is 0.

XYZ file:
```
44
C16H23N3O2 the ωB97M-V functional and the def2-TZVPD basis
C -1.65252 -4.35899 0.47858
O -1.91103 -3.41246 -0.52726
C -2.09695 -2.10920 -0.15757
C -2.35859 -1.21135 -1.19253
C -2.53198 0.13218 -0.93975
C -2.44557 0.63336 0.36527
N -2.64697 1.97619 0.65746
C -2.11617 3.02836 -0.18793
C -0.58931 3.16810 -0.04007
O -0.05822 4.14168 0.43413
N 0.05973 2.04578 -0.45972
N 1.39473 1.87894 -0.27953
C 1.94072 0.75778 -0.50667
C 1.24446 -0.50301 -0.95596
C 2.16553 -1.71042 -0.80432
C 2.82318 -1.66220 0.57131
C 3.77034 -0.45523 0.70905
C 5.22780 -0.87024 0.52199
C 3.41565 0.64999 -0.30294
C -2.20711 -0.27688 1.39398
C -2.03784 -1.62730 1.14448
H -0.72396 -4.13448 1.01505
H -1.54807 -5.31368 -0.03453
H -2.47843 -4.42312 1.19466
H -2.42055 -1.59388 -2.19892
H -2.75243 0.79437 -1.76338
H -2.50768 2.18074 1.63914
H -2.37728 2.83611 -1.22985
H -2.57076 3.97345 0.11599
H -0.49784 1.27045 -0.81614
H 0.34955 -0.66173 -0.34429
H 0.91606 -0.39868 -1.99547
H 2.92950 -1.71098 -1.58305
H 1.58240 -2.62712 -0.91313
H 2.03334 -1.59763 1.32377
H 3.37677 -2.58444 0.75450
H 3.65966 -0.03993 1.71517
H 5.36800 -1.34886 -0.44520
H 5.87974 -0.00127 0.57313
H 5.52927 -1.57008 1.29828
H 3.80148 1.61183 0.03143
H 3.87669 0.41223 -1.26541
H -2.15021 0.08158 2.41218
H -1.85055 -2.28806 1.97606
```

2 | Molecular formula: C16H23N3O2
Method: DFT, the ωB97M-V functional and the def2-TZVPD basis

As for the SMILES: [H]/N=c1\n(CCC)c2ccccc2n1CC(=O)OCCCC. The HOMO-LUMO gap comes out at 8.4 eV. Its charge is 0.

XYZ file:
```
44
C16H23N3O2 the ωB97M-V functional and the def2-TZVPD basis
H -1.84815 3.24601 1.13905
N -1.02029 3.17905 0.56205
C -0.97887 2.17455 -0.21059
N -1.88095 1.13813 -0.43320
C -3.04057 0.85659 0.36892
C -2.75766 -0.20449 1.44032
C -1.71648 0.26095 2.45063
C -1.34829 0.27374 -1.36918
C -1.82170 -0.90749 -1.90514
C -1.02163 -1.55681 -2.83740
C 0.20892 -1.04470 -3.21688
C 0.69013 0.14544 -2.68576
C -0.10388 0.79704 -1.76465
N 0.08063 1.97547 -1.07491
C 1.32201 2.67596 -0.94187
C 2.38966 1.79815 -0.29387
O 3.56687 1.88448 -0.51969
O 1.83238 0.93677 0.55334
C 2.67831 -0.02420 1.18494
C 2.66209 -1.34128 0.41183
C 1.27878 -1.99307 0.37400
C 0.87627 -2.61287 1.70664
H -3.84508 0.51574 -0.29108
H -3.36236 1.78846 0.84331
H -3.69405 -0.43575 1.95190
H -2.40518 -1.11456 0.95049
H -1.53071 -0.51928 3.18493
H -0.77744 0.49824 1.95516
H -2.05979 1.15018 2.97543
H -2.77554 -1.31909 -1.61399
H -1.36714 -2.48351 -3.26992
H 0.80750 -1.57995 -3.93806
H 1.65077 0.54047 -2.97737
H 1.69172 3.02558 -1.91000
H 1.12648 3.53540 -0.29187
H 2.28318 -0.14863 2.19465
H 3.69583 0.37642 1.23188
H 3.38236 -2.01952 0.87240
H 2.99227 -1.13731 -0.60903
H 1.28088 -2.76953 -0.39360
H 0.54200 -1.24506 0.07773
H -0.09539 -3.09310 1.61801
H 1.60195 -3.36330 2.01348
........

    "Austerity" means 'living within your means'.

    But which means? The means they had? Or the means they had remaining, after Goldman Sachs created a new derivative swap with off-the-books fictional exchange rates, collected their commission for doing so, while simultaneously shorting the Greek government?

    You know who never runs out of "other people's money"? Goldman Sachs.

    And it was all legal, because financial regulations and oversight make Santa Claus cry.

  7. siacd99911:25 AM

    ....and this bodes well for the Greek tourism industry, one of the few industries bringing money into the country.

  8. Anonymous7:52 PM

    “Or the means they had remaining, after Goldman Sachs created a new derivative swap”.

    The Greeks wouldn’t have had to deal with any Goldman-esque flim-flam if they hadn’t been paying government workers 14 month’s salary every year. That’s what ‘living within your means’ means. And Goldman-Sachs gets its money from the Federal Reserve, basically an arm of the government, so what's your point?

    Besides, Obama certainly cozy'ed up to Goldman-Sachs when he appointed Timothy (Mr. cheats on his taxes) Geithner, former Goldman-Sachs partner, as Secretary of the Treasury.

  9. Don't drink the talking point hemlock10:06 AM

    Greek workers get the annual salary they get. It’s divided into 14 installments, with two half-paychecks in advance of Easter and summer, and a double paycheck in advance of Christmas. It’s a commonplace budgeting format that is used by numerous other European countries, and it doesn’t increase the total of a worker’s pay. If a Greek employee got his money in 28 installments instead of 14, would he be taking a 50% pay cut?

    They’re not getting “free money” unless you honestly believe Nigel Tufnel’s guitar is one louder when it goes to eleven.
